(Assignment)
Type out the lines further below from the one with "BaY2Mo4O16 (GGA+U)" to the one with "0.4274 0.4335" verbatim.

(Material)
........
## Pr2MgMn2Ge2O10 (GGA+U)

Data for crystalline Pr2MgMn2Ge2O10 at its relaxed geometry.

## Properties
The value obtained for the volume is 14.2 Å³ per atom. The formation energy comes out at -2.69 eV per atom. The space-group type is P1 (1). As for the uncorrected energy: -123.7 eV per cell. As for the magnetic moment: 10.0 μB/f.u.

a = 5.8220 Å, b = 6.3252 Å, c = 6.8920 Å
α = 88.63°, β = 99.27°, γ = 105.80°
Atoms (fractional coordinates):
O1 0.2994 0.3962 0.1283
Ge1 0.2467 0.1564 0.2825
Pr1 0.6265 0.7587 0.1846
Mg1 0.8107 0.2821 0.4676
Pr2 0.3464 0.1945 0.8259
O2 0.6668 0.9932 0.8854
Ge2 0.7296 0.8007 0.7336
O3 0.0369 0.8697 0.7053
O4 0.5272 0.7490 0.5101
Mn1 0.1642 0.6718 0.5342
Mn2 0.9818 0.4709 0.0004
O5 0.0566 0.3919 0.7097
O6 0.3087 0.9634 0.1305
O7 0.4620 0.2118 0.4999
O8 0.8989 0.5440 0.2928
O9 0.9411 0.0820 0.3201
O10 0.6675 0.5576 0.8816

=====

## Li5Mn3O8 (GGA+U)

Data for crystalline Li5Mn3O8 at its relaxed geometry.

## Properties
The value obtained for the volume is 9.1 Å³ per atom. The formation energy comes out at -2.07 eV per atom. The space-group type is C2/m (12). As for the uncorrected energy: -99.3 eV per cell. As for the magnetic moment: 10.0 μB/f.u.

a = 9.8292 Å, b = 9.8292 Å, c = 5.2427 Å
α = 84.76°, β = 84.76°, γ = 16.85°
Atoms (fractional coordinates):
O1 0.8053 0.8053 0.0892
O2 0.6927 0.6927 0.4157
Mn1 0.2492 0.2492 0.2513
Li1 0.6181 0.6181 0.1190
Li2 0.5000 0.5000 0.5000
O3 0.4440 0.4440 0.1707
Mn2 0.0000 0.0000 0.0000
O4 0.0582 0.0582 0.2807
O5 0.9418 0.9418 0.7193
O6 0.1947 0.1947 0.9108
Li3 0.8862 0.8862 0.3920
Mn3 0.7508 0.7508 0.7487
Li4 0.1138 0.1138 0.6080
O7 0.3073 0.3073 0.5843
O8 0.5560 0.5560 0.8293
Li5 0.3819 0.3819 0.8810

=====

## BaY2Mo4O16 (GGA+U)

Data for crystalline BaY2Mo4O16 at its relaxed geometry.

## Properties
The value obtained for the volume is 14.5 Å³ per atom. The formation energy comes out at -2.63 eV per atom. The space-group type is C2/c (15). As for the uncorrected energy: -348.0 eV per cell. As for the magnetic moment: 0.0 μB/f.u.

a = 6.9181 Å, b = 6.9181 Å, c = 19.6315 Å
α = 89.46°, β = 89.46°, γ = 134.74°
Atoms (fractional coordinates):
Y1 0.3491 0.6465 0.4679
O1 0.5850 0.8835 0.3676
O2 0.6707 0.0118 0.5439
O3 0.4150 0.1165 0.6324
O4 0.1841 0.2799 0.3981
O5 0.8835 0.5850 0.8676
O6 0.7992 0.9637 0.8310
Ba1 0.4687 0.5313 0.2500
O7 0.4884 0.7653 0.6739
O8 0.7247 0.7594 0.9649
O9 0.7653 0.4884 0.1739
O10 0.8159 0.7201 0.6019
O11 0.9637 0.7992 0.3310
O12 0.0910 0.5726 0.5665
O13 0.9882 0.3293 0.9561
O14 0.5116 0.2347 0.3261
O15 0.0363 0.2008 0.6690
Mo1 0.7637 0.2434 0.1479
O16 0.2347 0.5116 0.8261
O17 0.0118 0.6707 0.0439
O18 0.2753 0.2406 0.0351
O19 0.7594 0.7247 0.4649
Mo2 0.0459 0.9292 0.0901
Mo3 0.2363 0.7566 0.8521
Ba2 0.5313 0.4687 0.7500
Mo4 0.9541 0.0708 0.9099
O20 0.9090 0.4274 0.4335
O21 0.7201 0.8159 0.1019
O22 0.4274 0.9090 0.9335
O23 0.5726 0.0910 0.0665
Mo5 0.7566 0.2363 0.3521
Mo6 0.2434 0.7637 0.6479
O24 0.9861 0.5985 0.7112
O25 0.2799 0.1841 0.8981
Y2 0.6509 0.3535 0.5321
O26 0.0139 0.4015 0.2888
Y3 0.6465 0.3491 0.9679
O27 0.5985 0.9861 0.2112
O28 0.2008 0.0363 0.1690
O29 0.4015 0.0139 0.7888
O30 0.2406 0.2753 0.5351
Mo7 0.0708 0.9541 0.4099
Y4 0.3535 0.6509 0.0321
O31 0.1165 0.4150 0.1324
Mo8 0.9292 0.0459 0.5901
O32 0.3293 0.9882 0.4561

=====

## AlV2O4 (GGA+U)

Data for crystalline AlV2O4 at its relaxed geometry.

## Properties
The value obtained for the volume is 10.6 Å³ per atom. The formation energy comes out at -2.74 eV per atom. The space-group type is P1 (1). As for the uncorrected energy: -219.0 eV per cell. As for the magnetic moment: 1.4 μB/f.u.

a = 5.9015 Å, b = 10.3563 Å, c = 5.9044 Å
α = 90.57°, β = 60.46°, γ = 73.85°
Atoms (fractional coordinates):
O1 0.7471 0.3713 0.6298
O2 0.2443 0.6298 0.3747
V1 0.5011 0.9996 0.0017
V2 0.0018 0.9995 0.5009
V3 0.9981 0.2580 0.2568
V4 0.9999 0.4973 0.4970
O3 0.7497 0.8724 0.1247
Al1 0.6257 0.8087 0.4349
O4 0.2419 0.6313 0.8728
V5 0.9986 0.4988 0.9989
Al2 0.6276 0.3085 0.9366
........

(Response)
## BaY2Mo4O16 (GGA+U)

Data for crystalline BaY2Mo4O16 at its relaxed geometry.

## Properties
The value obtained for the volume is 14.5 Å³ per atom. The formation energy comes out at -2.63 eV per atom. The space-group type is C2/c (15). As for the uncorrected energy: -348.0 eV per cell. As for the magnetic moment: 0.0 μB/f.u.

a = 6.9181 Å, b = 6.9181 Å, c = 19.6315 Å
α = 89.46°, β = 89.46°, γ = 134.74°
Atoms (fractional coordinates):
Y1 0.3491 0.6465 0.4679
O1 0.5850 0.8835 0.3676
O2 0.6707 0.0118 0.5439
O3 0.4150 0.1165 0.6324
O4 0.1841 0.2799 0.3981
O5 0.8835 0.5850 0.8676
O6 0.7992 0.9637 0.8310
Ba1 0.4687 0.5313 0.2500
O7 0.4884 0.7653 0.6739
O8 0.7247 0.7594 0.9649
O9 0.7653 0.4884 0.1739
O10 0.8159 0.7201 0.6019
O11 0.9637 0.7992 0.3310
O12 0.0910 0.5726 0.5665
O13 0.9882 0.3293 0.9561
O14 0.5116 0.2347 0.3261
O15 0.0363 0.2008 0.6690
Mo1 0.7637 0.2434 0.1479
O16 0.2347 0.5116 0.8261
O17 0.0118 0.6707 0.0439
O18 0.2753 0.2406 0.0351
O19 0.7594 0.7247 0.4649
Mo2 0.0459 0.9292 0.0901
Mo3 0.2363 0.7566 0.8521
Ba2 0.5313 0.4687 0.7500
Mo4 0.9541 0.0708 0.9099
O20 0.9090 0.4274 0.4335